Succession Planning: Securing the Future of Your Organization

succession planning chess pieces

+++
No. 1
Material: BaTl2Rh
Method: DFT, PBE
State: optimized geometry

As for the energy of formation from the pure elements: -0.12 eV/atom. The calculation puts the total energy at -3.62 eV/atom.

The structure belongs to space group Pm (No. 6); the cell edges are 4.995, 3.956 and 6.524 Å and the angles 90.00°, 112.41° and 90.00°. The distinct sites, in fractional coordinates, are Ba at (0.000, 0.000, 0.000), Tl at (0.296, 0.000, 0.592), Tl at (0.689, 0.500, 0.380) and Rh at (0.461, 0.500, 0.919).

---

No. 2
Material: SbPb3Se4
Method: DFT, PBE
State: optimized geometry

The excess energy over the best structure of this formula in the dataset comes out at 83.7 meV/atom. The calculation puts the total energy at -3.98 eV/atom.

The structure belongs to space group Pmmn (No. 59, origin choice 2); the cell edges are 6.243, 8.668 and 10.273 Å and the angles 90.00°, 90.00° and 90.00°. The distinct sites, in fractional coordinates, are Sb at (0.250, 0.250, 0.161), Pb at (0.250, 0.001, 0.656), Pb at (0.250, 0.750, 0.144), Se at (0.250, 0.015, 0.333), Se at (0.250, 0.250, 0.844) and Se at (0.250, 0.750, 0.841).

----------

Entry 1:
The following is a DFT calculation (PBE-GGA) of La2MnGaPd6 after structural relaxation.

The structure in extended XYZ format:
```
10
Lattice="0.559 -1.509 -6.567 3.333 -5.109 2.552 -1.449 -6.450 0.116" Properties=species:S:1:pos:R:3 pbc="T T T"
La 0.609 -5.489 -4.460
La 1.834 -7.578 0.562
Mn 0.000 0.000 0.000
Ga 1.946 -3.309 -2.007
Pd 0.204 -4.782 -0.913
Pd 2.604 -5.744 -1.961
Pd 1.146 -10.566 0.420
Pd 1.298 -2.502 -4.318
Pd -0.160 -7.324 -1.937
Pd 2.240 -8.286 -2.985
```

energy relative to the elements: -0.59 eV/atom
volume: 20.5 A^3/atom

***

Entry 2:
The following is a DFT calculation (PBE-GGA) of La2MnGaPt6 after structural relaxation.

The structure in extended XYZ format:
```
10
Lattice="-2.273 -2.612 -5.711 5.221 -4.228 0.998 0.305 -6.637 1.415" Properties=species:S:1:pos:R:3 pbc="T T T"
La -0.128 -6.524 -3.031
La 3.382 -6.953 -0.267
Mn 0.000 0.000 0.000
Ga 1.474 -3.420 -2.357
Pt 0.906 -5.053 -0.483
Pt 2.138 -11.176 -3.176
Pt 3.355 -3.853 -0.689
Pt -0.101 -9.624 -2.609
Pt 1.116 -2.302 -0.122
Pt 2.348 -8.424 -2.815
```

energy relative to the elements: -0.80 eV/atom
volume: 20.8 A^3/atom

***

Entry 3:
The following is a DFT calculation (PBE-GGA) of La2MnGa4Pt3 after structural relaxation.

The structure in extended XYZ format:
```
10
Lattice="4.284 0.000 0.000 0.000 4.284 0.000 0.000 0.000 10.796" Properties=species:S:1:pos:R:3 pbc="T T T"
La 2.142 0.000 2.673
La 0.000 2.142 8.122
Mn 2.142 2.142 5.398
Ga 2.142 2.142 0.000
Ga 0.000 0.000 0.000
Ga 2.142 0.000 6.818
Ga 0.000 2.142 3.978
Pt 0.000 0.000 5.398
Pt 2.142 0.000 9.367
Pt 0.000 2.142 1.429
```

energy relative to the elements: -0.84 eV/atom
volume: 19.8 A^3/atom

----------

No. 1
Zn2Pd2Rh | PBE-GGA | optimized geometry Values from VASP.

Computed properties:
offset from the most stable computed form: 72 meV/atom
M_tot: 0.000 μB/f.u.
+++

In the ever-changing landscape of the business world, one constant remains: change. As Leaders, it is our responsibility to ensure the continuity of our organizations, even as key individuals transition out of their roles. This is where succession planning is a crucial strategic tool to identify, develop, and retain talent to fill key organizational positions. Let’s investigate the importance, principles, and best practices of succession planning and how it safeguards the future of businesses worldwide.

Succession planning is more than just finding someone to fill a vacant position; it’s about preparing for the organization’s long-term viability. At its core, succession planning involves identifying critical roles within the company, assessing current talent against the requirements of those roles, and developing individuals to ensure a seamless transition when the need arises.

The importance of succession planning in four (4) areas within an organization:

  1. Continuity and Stability – succession planning mitigates the risk
    associated with sudden departures of key personnel. By preparing internal
    talent to step into critical roles, an organization can maintain operational
    continuity and stability during times of transition.
  2. Talent Development – Investing in succession planning fosters a culture of
    talent development and employee growth. It provides individuals with a clear
    understanding of what career track they can take for advancement within the
    organization, motivating them to excel in their current roles while preparing
    for future responsibilities.
  3. Risk Mitigation – External factors such as retirement, illness, or unexpected
    departures can significantly impact an organization’s performance.
    Succession planning acts as a proactive measure to mitigate these risks,
    ensuring that the business can adapt and thrive in the face of unforeseen
  4. Retention and Engagement – Employees are more likely to remain
    engaged and committed to an organization that demonstrates a vested
    interest in their professional development. Succession planning signals to
    employees that their contributions are valued and that there are
    opportunities for career advancement within the company, thus fostering
    greater retention rates.

The principles of effective succession planning are few but important.

  • Businesses should start early considering that this is a long-term process that requires careful consideration and strategic planning.
  • Succession planning should align closely with the organization’s strategic goals and objectives. Identify the key competencies and skills required for future success and tailor succession plans accordingly.